(Listing)
<<<
# 1
Starting from DFT lattice parameters and positions (GGA-PBE), the powder X-ray diffraction pattern of Mg6InIr was calculated for λ = 1.5418 Å (Cu Kα).
Kinematic intensities with the Lorentz-polarization factor, no thermal factor.

Structural model:
```
data_Mg6InIr
_space_group_name_H-M_alt 'C m m m'
_space_group_IT_number 65
_space_group_name_Hall '-C 2 2'
_cell_length_a 8.336
_cell_length_b 12.259
_cell_length_c 12.505
_cell_angle_alpha 90.00
_cell_angle_beta 90.00
_cell_angle_gamma 90.00
loop_
_atom_site_label
_atom_site_type_symbol
_atom_site_fract_x
_atom_site_fract_y
_atom_site_fract_z
_atom_site_occupancy
Mg1 Mg 0.000 0.000 0.000 1
Mg2 Mg 0.000 0.000 0.500 1
Mg3 Mg 0.000 0.249 0.228 1
Mg4 Mg 0.000 0.500 0.000 1
Mg5 Mg 0.000 0.500 0.500 1
Mg6 Mg 0.224 0.378 0.361 1
Mg7 Mg 0.234 0.371 0.115 1
In1 In 0.000 0.000 0.248 1
In2 In 0.000 0.237 0.500 1
Ir1 Ir 0.000 0.238 0.000 1
Ir2 Ir 0.000 0.500 0.242 1
```

Most intense lines, 2θ = 10–90°, low angle first:
two_theta  Rel. int.  index
20.29  1000  0 2 2
21.32  466  2 0 0
28.55  219  0 0 4
29.59  793  2 2 2
35.91  753  2 0 4
36.39  732  2 4 0
41.25  498  0 4 4
43.42  219  4 0 0
46.89  244  2 4 4
61.43  283  4 4 4

---

# 2
Starting from DFT lattice parameters and positions (GGA-PBE), the powder X-ray diffraction pattern of MgTiInIr was calculated for λ = 1.5418 Å (Cu Kα).
Kinematic intensities with the Lorentz-polarization factor, no thermal factor.

Structural model:
```
data_MgTiInIr
_space_group_name_H-M_alt 'P 4 m m'
_space_group_IT_number 99
_space_group_name_Hall 'P 4 -2'
_cell_length_a 3.076
_cell_length_b 3.076
_cell_length_c 7.645
_cell_angle_alpha 90.00
_cell_angle_beta 90.00
_cell_angle_gamma 90.00
loop_
_atom_site_label
_atom_site_type_symbol
_atom_site_fract_x
_atom_site_fract_y
_atom_site_fract_z
_atom_site_occupancy
Mg1 Mg 0.000 0.000 0.000 1
Ti1 Ti 0.000 0.000 0.581 1
In1 In 0.500 0.500 0.306 1
Ir1 Ir 0.500 0.500 0.771 1
```

Most intense lines, 2θ = 10–90°, low angle first:
two_theta  Rel. int.  index
11.58  350  0 0 1
23.27  360  0 0 2
29.03  404  1 0 0
37.53  1000  1 0 2
41.51  412  1 1 0
48.13  214  1 1 2
56.70  141  1 0 4
60.16  135  2 0 0
64.95  149  1 1 4
73.10  275  2 1 2

---

# 3
Starting from DFT lattice parameters and positions (GGA-PBE), the powder X-ray diffraction pattern of NaIn6Ir6 was calculated for λ = 1.5418 Å (Cu Kα).
Kinematic intensities with the Lorentz-polarization factor, no thermal factor.

Structural model:
```
data_NaIn6Ir6
_space_group_name_H-M_alt 'I m m m'
_space_group_IT_number 71
_space_group_name_Hall '-I 2 2'
_cell_length_a 5.626
_cell_length_b 9.023
_cell_length_c 9.709
_cell_angle_alpha 90.00
_cell_angle_beta 90.00
_cell_angle_gamma 90.00
loop_
_atom_site_label
_atom_site_type_symbol
_atom_site_fract_x
_atom_site_fract_y
_atom_site_fract_z
_atom_site_occupancy
Na1 Na 0.000 0.000 0.000 1
In1 In 0.000 0.000 0.335 1
In2 In 0.000 0.327 0.000 1
In3 In 0.000 0.500 0.331 1
Ir1 Ir 0.000 0.252 0.500 1
Ir2 Ir 0.250 0.250 0.250 1
```

Most intense lines, 2θ = 10–90°, low angle first:
two_theta  Rel. int.  index
18.24  238  0 0 2
19.68  315  0 2 0
36.93  298  2 0 2
37.04  148  0 0 4
37.74  342  2 2 0
39.97  212  0 4 0
42.22  1000  2 2 2
44.26  181  0 4 2
55.57  149  0 4 4
66.68  137  2 0 6

~~~~~

Structure and theoretical powder XRD pattern of ZrCu3Ir (a DFT-relaxed cell (PBE, Alexandria); CuKα).
Lines closer than 0.1° are merged.

Structure:
Lattice parameters (Å, degrees): 4.5682 4.5682 4.5682 90.00 90.00 90.00
Fractional positions:
1 Zr 0.0000 0.0000 0.0000
2 Cu 0.0000 0.5000 0.5000
3 Cu 0.5000 0.0000 0.5000
4 Cu 0.5000 0.5000 0.0000
5 Ir 0.5000 0.5000 0.5000

Main lines, by angle (2θ from 10° to 90°):
d_spacing	I_rel
4.568	66.4
3.230	97.1
2.284	100.0
2.043	33.0
1.865	41.5
1.615	66.1
1.523	16.1
1.445	18.4
1.319	21.8
1.221	21.4

=====

Structure and theoretical powder XRD pattern of CaPb4F10 (a DFT-relaxed cell (PBE, Alexandria); CuKα).
Lines closer than 0.1° are merged.

Structure:
>>>
(Activity)
Next, count the lines further above that contain the word "In2" and give the number alone.
(Outcome)
2